ASSEMBLY, No. 5220







Sponsored by:

Assemblywoman  AURA K. DUNN

## Records of crystals that have nothing to do with the text
........
[1]
Theoretical powder XRD pattern of Ce11Tl9Co4 for Cu Ka, from a PBE-relaxed structure.
Kinematic intensities with the Lorentz-polarization factor, no thermal factor.

Most intense lines, 10 to 90 degrees two-theta, by angle:
2θ 29.15, rel. 22.8; 2θ 30.34, rel. 47.8; 2θ 31.54, rel. 25.0; 2θ 34.04, rel. 87.7; 2θ 34.24, rel. 83.0; 2θ 34.53, rel. 100.0; 2θ 36.82, rel. 39.5; 2θ 49.33, rel. 32.4; 2θ 55.60, rel. 27.7; 2θ 61.42, rel. 30.9

```
Ce11Tl9Co4
1.0
7.512 -10.961 0.000
7.512 10.961 0.000
0.000 0.000 3.694
Ce Tl Co
11 9 4
direct
0.000 0.000 0.000 Ce
0.090 0.427 0.000 Ce
0.149 0.851 0.000 Ce
0.317 0.317 0.000 Ce
0.373 0.627 0.000 Ce
0.427 0.090 0.000 Ce
0.573 0.910 0.000 Ce
0.627 0.373 0.000 Ce
0.683 0.683 0.000 Ce
0.851 0.149 0.000 Ce
0.910 0.573 0.000 Ce
0.083 0.225 0.500 Tl
0.153 0.641 0.500 Tl
0.225 0.083 0.500 Tl
0.359 0.847 0.500 Tl
0.500 0.500 0.500 Tl
0.641 0.153 0.500 Tl
0.775 0.917 0.500 Tl
0.847 0.359 0.500 Tl
0.917 0.775 0.500 Tl
0.244 0.449 0.500 Co
0.449 0.244 0.500 Co
0.551 0.756 0.500 Co
0.756 0.551 0.500 Co
```

=====

[2]
Theoretical powder XRD pattern of Ce4Tl3Co for Cu Ka, from a PBE-relaxed structure.
Kinematic intensities with the Lorentz-polarization factor, no thermal factor.

Most intense lines, 10 to 90 degrees two-theta, by angle:
2θ 29.14, rel. 100.0; 2θ 29.42, rel. 36.7; 2θ 30.91, rel. 72.1; 2θ 31.99, rel. 81.3; 2θ 32.48, rel. 37.5; 2θ 33.64, rel. 43.4; 2θ 33.99, rel. 55.8; 2θ 36.71, rel. 39.9; 2θ 37.26, rel. 48.6; 2θ 40.21, rel. 36.9

```
Ce4Tl3Co
1.0
10.651 0.000 0.000
0.000 6.580 0.000
0.000 0.000 6.072
Ce Tl Co
8 6 2
direct
0.000 0.043 0.000 Ce
0.000 0.406 0.273 Ce
0.199 0.202 0.772 Ce
0.301 0.798 0.272 Ce
0.500 0.594 0.773 Ce
0.500 0.957 0.500 Ce
0.699 0.798 0.272 Ce
0.801 0.202 0.772 Ce
0.000 0.884 0.481 Tl
0.195 0.693 0.792 Tl
0.305 0.307 0.292 Tl
0.500 0.116 0.981 Tl
0.695 0.307 0.292 Tl
0.805 0.693 0.792 Tl
0.000 0.417 0.747 Co
0.500 0.583 0.247 Co
```

=====

[3]
Theoretical powder XRD pattern of Ce5Tl2Co2 for Cu Ka, from a PBE-relaxed structure.
Kinematic intensities with the Lorentz-polarization factor, no thermal factor.

Most intense lines, 10 to 90 degrees two-theta, by angle:
2θ 25.78, rel. 35.5; 2θ 26.52, rel. 40.0; 2θ 27.78, rel. 23.9; 2θ 30.64, rel. 59.3; 2θ 30.84, rel. 73.3; 2θ 31.28, rel. 46.9; 2θ 32.91, rel. 49.8; 2θ 37.32, rel. 100.0; 2θ 50.59, rel. 52.0; 2θ 62.80, rel. 44.1

```
Ce5Tl2Co2
1.0
-3.361 10.887 3.456
3.361 -10.887 3.456
3.361 10.887 -3.456
Ce Tl Co
10 4 4
direct
0.145 0.003 0.141 Ce
0.184 0.434 0.750 Ce
0.250 0.000 0.750 Ce
0.250 0.500 0.250 Ce
0.362 0.003 0.359 Ce
0.638 0.997 0.641 Ce
0.750 0.000 0.250 Ce
0.750 0.500 0.750 Ce
0.816 0.566 0.250 Ce
0.855 0.997 0.859 Ce
0.107 0.500 0.607 Tl
0.394 0.500 0.893 Tl
0.606 0.500 0.107 Tl
0.893 0.500 0.393 Tl
0.000 0.000 0.000 Co
0.194 0.944 0.250 Co
0.500 0.000 0.500 Co
0.806 0.056 0.750 Co
```

=====

[4]
Theoretical powder XRD pattern of Ce3Tm2Co2 for Cu Ka, from a PBE-relaxed structure.
........

District 25 (Morris and Somerset)



-- begin --
Theoretical X-ray powder pattern of LiCo5SbO8 for Cu Kα (weighted mean of Kα1 and Kα2), from the GGA+U geometry in the Materials Project.
Kinematic intensities with the Lorentz-polarization factor, no thermal factor.

The 8 most intense peaks (5 to 70 degrees two-theta), by angle:
d [Å]  I_rel
5.067  83
3.088  62
2.725  43
2.667  100
2.659  50
2.218  36
1.588  36
1.544  49

Structure:
a b c (Å): 6.1738 6.1738 6.3745
angles (deg): 119.13 119.13 60.09
Fractional positions:
Li: 0.0000 0.0000 0.0000
Co: 0.2297 0.2297 0.6886
Co: 0.3990 0.8477 0.0951
Co: 0.4973 0.4973 0.4921
Co: 0.8477 0.3990 0.0951
Co: 0.8499 0.8499 0.0990
Sb: 0.8586 0.8586 0.5769
O: 0.0882 0.6320 0.3535
O: 0.0933 0.0933 0.8305
O: 0.0936 0.6437 0.8298
O: 0.1048 0.1048 0.3162
O: 0.6242 0.6242 0.8714
O: 0.6320 0.0882 0.3535
O: 0.6316 0.6316 0.3518
O: 0.6437 0.0936 0.8298

Theoretical X-ray powder pattern of Li4Co3Sb5O16 for Cu Kα (weighted mean of Kα1 and Kα2), from the GGA+U geometry in the Materials Project.
Kinematic intensities with the Lorentz-polarization factor, no thermal factor.

The 8 most intense peaks (5 to 70 degrees two-theta), by angle:
d [Å]  I_rel
5.225  57
4.785  100
3.752  32
2.918  37
2.668  34
2.610  37
2.601  44
1.647  31

Structure:
a b c (Å): 6.2001 10.7576 12.1318
angles (deg): 63.84 75.25 89.72
Fractional positions:
Li: 0.0000 0.0000 0.0000
Li: 0.0403 0.7223 0.8721
Li: 0.2405 0.2496 0.4760
Li: 0.2937 0.6290 0.3916
Li: 0.4981 0.5018 0.9942
Li: 0.5559 0.2345 0.8480
Li: 0.7421 0.7610 0.4777
Li: 0.7885 0.1370 0.3947
Co: 0.1455 0.4817 0.2094
Co: 0.3878 0.5585 0.7016
Co: 0.3971 0.2247 0.2168
Co: 0.6419 0.9770 0.2188
Co: 0.8780 0.0598 0.7049
Co: 0.8995 0.7255 0.2105
Sb: 0.0105 0.3296 0.0146
Sb: 0.1381 0.3103 0.7003
Sb: 0.1432 0.9729 0.2257
Sb: 0.2740 0.9337 0.4767
Sb: 0.3858 0.0570 0.7057
Sb: 0.5102 0.8328 0.0147
Sb: 0.6427 0.8175 0.7012
Sb: 0.6501 0.4790 0.2129
Sb: 0.7790 0.4398 0.4640
Sb: 0.8992 0.5632 0.6995
O: 0.0544 0.5719 0.3372
O: 0.0835 0.5869 0.7987
O: 0.0929 0.0574 0.3557
O: 0.0941 0.0905 0.8095
O: 0.1809 0.5256 0.5916
O: 0.2023 0.8748 0.1124
O: 0.2044 0.0374 0.5866
O: 0.2192 0.3709 0.0978
O: 0.3082 0.8401 0.3576
O: 0.3209 0.3446 0.7965
O: 0.3452 0.8459 0.8005
O: 0.3615 0.3524 0.3024
O: 0.4082 0.2620 0.5923
O: 0.4268 0.0993 0.1280
O: 0.4657 0.7924 0.5846
O: 0.4681 0.6096 0.1010
O: 0.5435 0.0640 0.3526
O: 0.5719 0.0810 0.8052
O: 0.5998 0.5719 0.3304
O: 0.6026 0.6056 0.8011
O: 0.6748 0.0285 0.5946
O: 0.7012 0.3742 0.1037
O: 0.7082 0.5661 0.5915
O: 0.7165 0.8748 0.0997
O: 0.8170 0.8462 0.8029
O: 0.8217 0.3487 0.3340
O: 0.8471 0.3508 0.7976
O: 0.8556 0.8499 0.3069
O: 0.9343 0.6079 0.1077
O: 0.9416 0.7900 0.5849
O: 0.9647 0.1081 0.1145
O: 0.9762 0.2717 0.5946

Theoretical X-ray powder pattern of LiCo5SbO8 for Cu Kα (weighted mean of Kα1 and Kα2), from the GGA+U geometry in the Materials Project.
Kinematic intensities with the Lorentz-polarization factor, no thermal factor.

The 8 most intense peaks (5 to 70 degrees two-theta), by angle:
d [Å]  I_rel
4.909  46
-- stop --




     Requires boards of education to adopt suicide prevention policies and DOE to establish model suicide prevention policy.



     As introduced.


An Act concerning student suicide prevention and supplementing chapter 6 of Title 18A of the New Jersey Statutes.


     Be It Enacted by the Senate and General Assembly of the State of New Jersey:


     1.    As used in this act:

     "Intervention" means specific actions implemented by a school in response to student suicidal behavior, including: student supervision; notification of parents or guardians; crisis-response protocols; processes for immediate mental health assessment or emergency services; and school re-entry procedures following a student mental health crisis.

     "Postvention" means planned support and interventions a school implements after a suicide attempt or suicide of a student or any employee of a school district that are designed to: reduce the risk of suicide contagion; provide support for affected students and any employees of a school district; address the social stigma associated with suicide; and disseminate factual information about suicide.

     "Prevention" means specific actions a school implements to recognize and reduce suicidal behavior, including: identifying risk and protective factors for suicide and suicide warning signs; establishing a process by which students are referred to a behavioral health provider for help; making available school-based and community-based mental health supports; providing the location of available online and community suicide prevention resources, including local crisis centers and hotlines; and adopting policies and protocols regarding school safety, and crisis response.


     2.    a.  A board of education of a school district shall adopt a policy on student suicide prevention.  When developing the policy, a board of education shall review the model policy established by the Commissioner of Education pursuant to subsection b. of this section and consult with school and community stakeholders, school-employed mental health professionals, and suicide prevention experts.  A board of education shall have local control over the content of the policy, except that the policy shall, at a minimum:

     (1)   address procedures relating to suicide prevention, intervention, and postvention; and

____________
SrLiNiGe: computed powder XRD pattern (Cu Kα (λ = 1.5418 Å)), based on a DFT-relaxed cell (GGA-PBE, Alexandria).
Intensities are scaled so that the largest is 1000.

Peak list (6 most intense, 2θ from 10° to 90°, sorted by position)
16.7°, I 363
26.7°, I 912
33.2°, I 1000
33.9°, I 471
42.7°, I 961
55.5°, I 659

```
SrLiNiGe
1.0
2.1199 1.2239 5.2957
-2.1199 1.2239 5.2957
0.0000 -2.4478 5.2957
Sr Li Ni Ge
1 1 1 1
Cartesian
0.0000 0.0000 0.0000
0.0000 0.0000 3.0140
0.0000 0.0000 12.7761
0.0000 0.0000 7.6014
```

Zn7Cu2Au: computed powder XRD pattern (Cu Kα (λ = 1.5418 Å)), based on a DFT-relaxed cell (GGA-PBE, Alexandria).
Intensities are scaled so that the largest is 1000.

Peak list (6 most intense, 2θ from 10° to 90°, sorted by position)
25.7°, I 457
35.7°, I 367
42.6°, I 1000
42.8°, I 859
62.0°, I 274
78.1°, I 273

```
Zn7Cu2Au
1.0
4.2484 0.0000 0.0000
-2.1242 3.6792 0.0000
0.0000 0.0000 10.3116
Zn Cu Au
7 2 1
Cartesian
0.0000 0.0000 0.0000
0.0000 0.0000 2.5891
0.0000 0.0000 5.4996
0.0000 2.4528 1.3892
0.0000 2.4528 7.1648
2.1242 1.2264 3.5913
2.1242 1.2264 8.7217
0.0000 0.0000 7.9091
2.1242 1.2264 1.0170
0.0000 2.4528 4.4114
```

Nd7CuCl12: computed powder XRD pattern (Cu Kα (λ = 1.5418 Å)), based on a DFT-relaxed cell (GGA-PBE, Alexandria).
Intensities are scaled so that the largest is 1000.

Peak list (6 most intense, 2θ from 10° to 90°, sorted by position)
11.4°, I 223
11.9°, I 707
26.6°, I 189
31.2°, I 1000
43.9°, I 347
45.3°, I 340

```
Nd7CuCl12
1.0
7.4288 4.2890 3.2224
-7.4288 4.2890 3.2224
0.0000 -8.5780 3.2224
Nd Cu Cl
7 1 12
Cartesian
0.0000 0.0000 0.0000
-2.2072 -0.5232 3.2238
1.5567 -1.6499 3.2238
0.6506 2.1731 3.2238
-0.6505 -2.1731 6.4434
-1.5567 1.6499 6.4434
2.2072 0.5231 6.4434
0.0000 0.0000 4.8336
-0.6739 -2.3075 1.4995
-1.6614 1.7374 1.4995
-2.8700 -2.8165 4.7844
-3.8742 1.0772 4.8828
2.3353 0.5701 1.4995
1.0042 -3.8937 4.8828
-1.0042 3.8937 4.7844
-2.3353 -0.5701 8.1677
3.8742 -1.0772 4.7844
2.8700 2.8165 4.8828
1.6614 -1.7374 8.1677
0.6739 2.3075 8.1677
```

=====

Entry 1:
This entry pairs a crystal structure of Sc3Mo5 with its theoretical powder X-ray diffraction pattern. Radiation: copper Kα. Structure: a PBE-relaxed structure.

Top 6 peaks for 15° ≤ 2θ ≤ 90°, by angle:
34.3°, I 52.9; 37.7°, I 59.9; 39.1°, I 100.0; 39.6°, I 38.2; 41.3°, I 43.1; 41.8°, I 38.9

Structural model:
```
Sc3Mo5
1.0
2.685 -7.266 0.000
2.685 7.266 0.000
-2.677 0.000 7.514
Sc Mo
6 10
Direct
0.000 0.000 0.000 Sc
0.368 0.632 0.000 Sc
0.461 0.539 0.500 Sc
0.499 0.130 0.629 Sc
0.870 0.501 0.371 Sc
0.961 0.039 0.500 Sc
0.122 0.540 0.663 Mo
0.255 0.015 0.270 Mo
0.454 0.055 0.000 Mo
0.457 0.384 0.840 Mo
0.460 0.878 0.337 Mo
0.616 0.543 0.160 Mo
0.743 0.054 0.797 Mo
0.945 0.546 0.000 Mo
0.946 0.257 0.203 Mo
0.985 0.745 0.730 Mo
```

=====

Entry 2:
This entry pairs a crystal structure of Pm3Te4Pd3 with its theoretical powder X-ray diffraction pattern. Radiation: copper Kα. Structure: a PBE-relaxed structure.

Top 6 peaks for 15° ≤ 2θ ≤ 90°, by angle:
____________

     (2)   recognize the needs of high-risk groups.

     b.    To assist boards of education in developing policies for student suicide prevention, the commissioner shall develop a model policy, applicable to grades kindergarten through 12.  The model policy shall be updated as the commissioner deems necessary.   

     c.     A board of education shall:

     (1)  post the policy on the board's Internet website; and

     (2) notify students, parents, and guardians that the policy is available on the board's Internet website. 


     3.    This act shall take effect immediately and shall first apply in the first full school year following the date of enactment. 





     This bill requires each public board of education of a school district to adopt a policy on suicide prevention, intervention, and postvention.  The bill requires the Commissioner of Education to develop a model policy in order to help boards of education in establishing their own policies.  Each board of education's policy is required to be developed in consultation with school and community stakeholders, school-employed mental health professionals, and suicide prevention experts.

     The policy is required to address procedures relating to suicide prevention, intervention, and postvention, and recognize the needs of high-risk groups.  The bill defines "prevention" to mean specific actions a school implements to recognize and reduce suicidal behavior.  "Intervention" is defined as specific actions a school implements in response to student suicidal behavior.  The bill further defines "postvention" as planned support and interventions a school implements after a suicide attempt or suicide of a student or any employee of a school district.

     Finally, the bill requires each board of education to post the policy on its Internet website and notify students, parents, and guardians that the policy has been posted to the board's website.